One in 13 Australian teenagers is taking antidepressants and other prescription drugs for mental illness, as high anxiety fuels childhood depression and suicide, The Daily Telegraph reports.
An increase in teenage anxiety is being brought by the COVID-19 pandemic, namely the added pressures of schooling, social media and a lack of physical social interaction.
Australian Primary Principals Association president Malcolm Elliott said as a result of these factors, distressed children have started to self-harm in primary school.
“There are high levels of family breakdown, uncertainty over employment and you chuck in the blinder of COVID-19 and it’s a climate of worry,’’ he told News Corp Australia.

“There just isn’t enough psychological support for students in schools.
“They’re nervous, they lack personal confidence and they’re not able to go with the flow – they perceive a threat at every turn.
“That can lead to conflict in the playground and the classroom.’’
### Between two parts of the page: records of molecules
/*
This record from OMol25 describes a molecular structure, C18H16AuBrINO. The level of theory is ωB97M-V/def2-TZVPD.

Energy above the lowest of the compared OMol25 structures with the same formula, charge and spin (kcal per mole): 7.7
Multiplicity: 1
Gap between HOMO and LUMO (eV): 7.518
Calculated total energy (eV): -104296.549
Charge: 0
Maximum force (eV Å⁻¹): 0.23

Geometry as XYZ:
```
39
Properties=species:S:1:pos:R:3:nbo_charge:R:1
Au 0.87 -0.70 -0.02 0.432
I 4.22 -0.42 -0.14 0.105
Br -2.21 -2.72 2.17 0.032
O -0.53 -3.03 -1.03 -0.451
N -2.43 -0.74 0.27 -0.437
C 3.39 4.37 0.00 -0.206
C 1.24 -3.71 0.42 -0.777
C 0.44 -2.65 -0.25 0.327
C 4.60 3.85 -0.31 -0.218
C -3.15 -1.62 0.92 0.159
C -4.51 -1.80 0.77 -0.275
C 1.03 4.15 0.58 -0.219
C -0.90 -4.42 -1.19 -0.285
C 2.27 3.54 0.23 0.026
C -5.15 -0.98 -0.15 -0.159
C 1.18 1.32 0.30 -0.352
C -0.07 3.38 0.81 -0.220
C 0.01 1.99 0.65 -0.263
C -4.41 -0.05 -0.86 -0.260
C 2.36 2.12 0.13 -0.166
C 4.75 2.45 -0.36 -0.265
C -3.05 0.03 -0.62 0.050
C 3.67 1.62 -0.14 -0.085
H 1.00 5.23 0.66 0.201
H 0.68 -4.60 0.73 0.225
H -1.66 -4.42 -1.96 0.213
H -1.01 3.84 1.09 0.205
H -0.04 -5.01 -1.52 0.194
H -6.22 -1.07 -0.30 0.223
H 5.46 4.48 -0.49 0.213
H -4.88 0.60 -1.59 0.227
H -1.31 -4.80 -0.26 0.203
H -2.42 0.74 -1.15 0.214
H -0.89 1.41 0.80 0.205
H -5.04 -2.53 1.35 0.234
H 1.77 -3.28 1.26 0.261
H 3.25 5.45 0.07 0.206
H 1.99 -4.03 -0.31 0.262
H 5.72 2.02 -0.56 0.221
```

This record from OMol25 describes a single C6H12N2O2 molecule. The level of theory is ωB97M-V/def2-TZVPD.

Energy above the lowest of the compared OMol25 structures with the same formula, charge and spin (kcal per mole): 111.0
Multiplicity: 1
Gap between HOMO and LUMO (alpha / beta) (eV): 7.912 / 8.257
Calculated total energy (eV): -13487.611
Charge: 0
Maximum force (eV Å⁻¹): 4.43

Geometry as XYZ:
```
22
Properties=species:S:1:pos:R:3:nbo_charge:R:1
O -0.99 1.17 1.72 -0.686
O 1.18 -2.36 0.55 -0.661
N -0.70 -1.19 0.97 -0.489
N 1.19 -0.39 -0.31 -0.686
C 1.25 2.19 -0.15 -0.700
C -1.41 0.06 0.99 0.250
C -1.55 -2.41 1.10 -0.415
C 0.43 1.01 -2.29 -0.698
C 0.49 -1.36 0.36 0.770
C 0.85 0.93 -0.84 0.266
H 0.05 1.10 1.86 0.487
H 0.38 2.82 0.20 0.238
H 1.70 1.86 0.76 0.210
H -2.49 -0.01 1.00 0.160
H 1.97 2.71 -0.80 0.222
H -1.38 -3.14 0.26 0.224
H 0.33 -0.02 -2.61 0.225
H -1.08 -3.08 1.98 0.221
H 1.95 -0.83 -0.91 0.413
H 1.02 1.72 -2.76 0.214
H -0.63 1.38 -2.43 0.225
H -2.55 -2.13 1.36 0.212
```

This record from OMol25 describes a molecular structure, H8LiO4. The level of theory is ωB97M-V/def2-TZVPD.

Energy above the lowest of the compared OMol25 structures with the same formula, charge and spin (kcal per mole): 10.3
Multiplicity: 1
Gap between HOMO and LUMO (eV): 12.780
Calculated total energy (eV): -8521.388
Charge: +1
Maximum force (eV Å⁻¹): 3.01

Geometry as XYZ:
```
13
Properties=species:S:1:pos:R:3:nbo_charge:R:1
O 6.97 0.27 35.41 -0.975
O 4.06 -0.22 34.47 -0.986
O 6.49 -1.87 33.01 -0.969
O 4.61 -2.85 35.45 -0.976
Li 5.79 -1.32 35.04 0.920
*/
Australian Institute of Health and Welfare (AIHW) data reveals that 2312 toddlers and preschoolers were prescribed drugs for mental health issues in 2018/19.
It shows that 87,781 primary school aged children and 134,439 teenagers were prescribed medication, mostly for anxiety and depression but also for Attention Deficit Hyperactivity Disorder, Conduct Disorder or psychosis.
• What comes next are data records, not part of the entry:
The following is a DFT calculation (ωB97M-V/def2-TZVPD) of a cluster of 2 separate species, C6H12O in total at a distorted geometry.

Computed properties:
Total energy: -310.9710 hartree
Kohn-Sham gap: 9.1 eV
E_HOMO: -8.39 eV

ORCA input file:
```
! RIJCOSX wB97M-V def2-TZVPD def2/J DEFGRID3
* xyz 0 1
C 1.217 -1.469 -0.134
H 0.298 -1.959 -0.273
H -1.262 0.810 1.794
C 0.609 -0.124 1.798
H 1.397 -0.672 2.394
H 1.498 1.407 -2.321
H 0.391 1.926 -0.019
C 0.556 0.928 -0.332
H -0.255 1.356 -2.367
O -2.689 -0.148 -0.884
H -2.621 0.791 -0.721
H -0.731 0.230 3.387
C 0.887 -0.166 0.404
H 1.846 -1.440 -1.041
H 1.688 -2.196 0.554
C -0.538 0.340 2.332
H -3.528 -0.262 -0.432
H 0.645 -0.217 -2.176
C 0.590 0.864 -1.964
*
```

* * * * *

# C30H30AsN4O6Tl

A structure of composition C30H30AsN4O6Tl (the ωB97M-V functional and the def2-TZVPD basis, the OMol25 dataset).

The geometry in XYZ format:
```
72
Properties=species:S:1:pos:R:3
Tl -1.2212 -0.3863 0.4195
C -2.8705 2.0965 -1.0539
C -3.7065 0.9404 -1.5487
C -3.0955 0.3206 -2.5647
C -1.7979 0.9751 -2.8044
C -1.6390 1.9793 -1.9333
H -3.3973 3.0278 -1.3544
H -4.6531 0.6788 -1.0967
H -3.4431 -0.5541 -3.0972
H -1.0800 0.6461 -3.5423
H -0.7594 2.5947 -1.8100
O -0.9916 -1.2348 3.1186
C -0.6352 -2.3279 3.6628
C -1.2151 -2.7999 4.8835
C -0.8796 -4.0149 5.4388
C 0.0640 -4.8541 4.8414
C 0.6721 -4.4153 3.6723
C 0.3662 -3.1886 3.0977
C 1.0440 -2.7809 1.8525
N 2.0184 -1.9059 1.7039
C 2.3112 -1.8976 0.3558
C 1.5103 -2.7673 -0.3145
N 0.7124 -3.3281 0.6482
H -1.9609 -2.1621 5.3451
H -1.3651 -4.3269 6.3597
H 0.3203 -5.8117 5.2772
H 1.4225 -5.0360 3.1902
H 3.0572 -1.2379 -0.0571
H 1.3920 -2.9868 -1.3583
H -0.1083 -3.8855 0.4842
C 0.8047 1.2901 3.0423
As 1.6860 1.7814 1.4182
C 3.5087 1.1698 1.6250
C 1.8043 3.7068 1.4517
O 1.0052 1.2643 0.0049
H 1.4878 1.4893 3.8703
H 0.5266 0.2343 3.0230
H -0.0889 1.9027 3.1409
H 3.9995 1.7526 2.4057
H 4.0337 1.3022 0.6797
H 3.4765 0.1163 1.9014
H 2.3025 4.0413 2.3624
H 0.7912 4.1097 1.4176
H 2.3584 4.0406 0.5751
O -1.9379 -3.1978 -3.6203
C -1.0500 -2.5272 -3.0705
O -0.9715 -2.0933 -1.8993
C 0.1285 -2.0911 -3.9739
C 1.0782 -1.1883 -3.5048
C 2.1418 -0.7887 -4.3071
C 2.2777 -1.2928 -5.5889
C 1.3224 -2.1931 -6.0398
C 0.2499 -2.5951 -5.2618
N 1.4635 -2.7323 -7.3998
O 0.6313 -3.5242 -7.7991
O 2.4088 -2.3543 -8.0760
H 0.9581 -0.8029 -2.4983
H 2.8667 -0.0793 -3.9279
H 3.0936 -1.0062 -6.2349
H -0.4963 -3.2864 -5.6254
N -2.6655 2.0522 0.3777
C -2.2286 3.1742 0.9495
C -1.8726 4.3962 0.2902
C -1.5019 5.5275 1.0009
C -1.4279 5.5401 2.3892
C -1.7468 4.3505 3.0598
C -2.1271 3.2184 2.3795
H -1.8863 4.4467 -0.7902
H -1.2490 6.4271 0.4454
H -1.1312 6.4299 2.9307
H -1.6996 4.3177 4.1450
H -2.3954 2.3141 2.9159
```

Results
**Charge**: -2
**HOMO**: -1.43 eV
**Lowest unoccupied orbital energy**: 0.1361 hartree
**ΔE to the lowest compared entry with this formula, charge and spin**: 12.73 kcal/mol
**E_tot**: -115373.20455 eV
**HOMO-LUMO gap**: 5.1369 eV

---

# C30H30BClN2O4Y
• So much for the data records:
Mr Elliott said parents’ worries were rubbing off on children, creating “toxic stress’’.
“Parents are quite understandably anxious about the world and it rubs off on children,’’ he said.
“Children are picking up on the reaction of their parents to the television news at night, and with COVID-19 people are worried about losing their jobs.’’

Speaking to The Greek Herald earlier this year, Mental Health First Aid Instructor Stella Ladikos said mental health encompasses much more than ‘mental illness’, and although some people may not possess a mental illness, they should be mindful of their overall mental health.
“Everybody has a mental health, yet only a small percentage of the population have a mental health problem, concern or illness,” Stella said.
Next to the piece, the page also holds quantum chemistry results
-- begin --
Record 1
Density functional theory data (wB97M-V/def2-TZVPD) for C18H35LaN6O3 as an isolated structure in a non-equilibrium geometry.

Cartesian coordinates (Å):
La 0.218 -0.155 0.459
C -1.684 -3.069 -1.623
C -2.250 -3.290 -0.215
N -1.501 -2.430 0.757
C -2.319 -2.375 1.947
C -3.178 -1.210 1.652
N -2.417 0.050 1.545
C -3.090 1.209 0.917
C -3.233 1.241 -0.554
C -2.441 2.255 -1.275
N -1.019 1.888 -1.362
C -0.617 1.389 -2.709
C -1.025 -0.048 -2.837
N -0.683 -0.861 -1.684
C -0.371 -2.200 -1.833
H -2.469 -2.455 -2.174
H -1.715 -4.009 -2.200
H -2.085 -4.339 0.018
H -3.348 -3.021 -0.220
H -0.586 -3.024 1.047
H -1.758 -2.241 2.811
H -2.780 -3.368 2.252
H -4.125 -1.084 2.223
H -3.628 -1.411 0.687
H -2.253 0.528 2.427
H -2.438 2.095 1.218
H -4.116 1.376 1.270
H -4.327 1.569 -0.717
H -3.062 0.202 -0.810
H -2.554 3.149 -0.604
H -2.967 2.550 -2.164
H -0.307 2.702 -1.225
H 0.411 1.543 -2.915
H -1.164 1.913 -3.529
H -0.456 -0.349 -3.729
H -2.089 -0.127 -3.043
H 2.613 -1.870 0.659
H 0.329 -2.392 -0.954
H 0.264 -2.397 -2.782
N -1.256 3.063 3.468
C 0.134 2.924 3.628
C 0.704 2.165 2.403
O 1.820 1.574 2.385
O -0.101 2.060 1.479
H -1.450 3.668 2.668
H -1.700 3.528 4.257
H 0.251 2.331 4.551
H 0.858 3.803 3.692
C 6.877 -0.698 -0.386
C 5.433 -0.244 -0.675
C 4.694 -0.634 -1.815
C 3.391 -0.203 -1.972
N 2.804 0.601 -1.102
C 3.501 0.951 -0.038
C 4.783 0.545 0.231
H 7.231 -0.408 0.604
H 7.546 -0.103 -1.038
H 6.970 -1.749 -0.543
H 5.098 -1.271 -2.663
H 2.847 -0.474 -2.860
H 2.837 1.448 0.741
H 5.300 0.860 1.087
O 1.649 -1.672 1.171

## Properties
Highest occupied orbital energy   -6.582 eV
Orbital gap   7.153 eV
Molecular weight   522.42 u
Relative energy (zero: lowest compared OMol25 entry of this formula, charge and spin)   0.533 eV
Energy   -1292.7151 hartree

***

Record 2
Density functional theory data (wB97M-V/def2-TZVPD) for a 2-piece molecular cluster, C3H7N2S overall in a non-equilibrium geometry.

Cartesian coordinates (Å):
C -0.142 1.729 -0.156
C -1.477 -0.270 -0.268
C -0.569 -1.542 -0.240
N 1.043 1.773 0.292
N 0.753 -1.094 0.101
S -2.975 0.175 -0.065
H -0.359 2.733 -0.477
H -0.602 -1.996 -1.342
H -1.179 -2.290 0.343
H 1.599 2.628 0.495
H 1.509 0.908 0.443
H 1.545 -1.740 -0.190
H 0.855 -1.012 1.064

## Properties
Highest occupied orbital energy   -13.487 eV
Net charge   +1
Orbital gap   8.499 eV
Molecular weight   103.17 u
Relative energy (zero: lowest compared OMol25 entry of this formula, charge and spin)   4.641 eV
Energy   -625.8016 hartree

***

Record 3
Density functional theory data (wB97M-V/def2-TZVPD) for C4H6N2 as an isolated structure in a non-equilibrium geometry.

Cartesian coordinates (Å):
N 0.204 1.285 -2.946
C -0.021 0.824 -1.910
C -0.359 0.246 -0.603
C 0.414 -0.965 -0.040
C 0.154 -0.278 1.312
N 0.074 0.999 0.580
H -1.436 0.012 -0.595
H -0.002 -1.958 -0.217
H 1.469 -0.927 -0.318
H 0.908 -0.325 2.101
H -0.822 -0.604 1.707
H -0.582 1.691 0.929

## Properties
Highest occupied orbital energy   -9.993 eV
Orbital gap   10.814 eV
Molecular weight   82.11 u
-- stop --
“Our mental health exists on a spectrum. When you go down the mental health spectrum it’s really those signs where your regular coping strategies aren’t working, and it’s that ‘medium’ place where we encourage people to seek help before it gets worse.”
Australian Secondary Principals Association president Andrew Pierpoint said schools were noticing a rise in truancy and “a lack of application to the tasks at hand’’.

“Students worry about the future, worry about their parents, worry about grandma and granddad, and the Year 12s are worried about the ATAR (Australian Tertiary Admission Rank),’’ he said.
The Productivity Commission has recommended that schools be rated on “student wellbeing’’ as well as attendance rates and academic success.
Federal Education Minister Dan Tehan said the Education Council of state and territory ministers would consider a report on the best way to measure student wellbeing.
He said a National Child Mental Health Strategy was being developed and the federal government was spending $133 million on youth mental health, plus $247 million for school chaplains over four years.